Job =
It remains to count the lines underneath that contain the word "corrections" and give the number alone.

Source =
┌──
An optimized crystal structure of BaCuW4. Source: Alexandria, functional GGA-PBE.

a = 7.814 Å, b = 7.814 Å, c = 7.814 Å
α = 90.00°, β = 90.00°, γ = 90.00°
Space group F-43m (No. 216)
Unique sites:
Ba 0.000 0.000 0.000 (multiplicity 4)
Cu 0.250 0.250 0.750 (multiplicity 4)
W 0.125 0.125 0.375 (multiplicity 16)

Output
V, Å³/atom: 19.9
Total magnetization, μB/f.u.: 0.00
E_form, eV per atom: 1.1651
Density of states at the Fermi level, states/eV/cell: 19.0

~~~~~

Record 1
Cs3IrCl SCAN PBEsol geometry; formation energy (no corrections) = -3.515 kcal/mol of atoms; final energy = -193.27 eV per cell; total magnetic moment = 0.00 μB per cell; space-group type = Pm-3m, No. 221
1.0
5.9673 0.0000 0.0000
0.0000 5.9673 0.0000
0.0000 0.0000 5.9673
Cs Ir Cl
3 1 1
direct
0.0000 0.5000 0.0000
0.5000 0.0000 0.0000
0.0000 0.0000 0.5000
0.0000 0.0000 0.0000
0.5000 0.5000 0.5000

***

Record 2
CsPIrCl2 SCAN PBEsol geometry; formation energy (no corrections) = -13.755 kcal/mol of atoms; final energy = -138.25 eV per cell; total magnetic moment = 0.00 μB per cell; space-group type = P4/mmm, No. 123
1.0
4.4048 0.0000 0.0000
0.0000 5.2394 0.0000
0.0000 0.0000 5.2394
Cs P Ir Cl
1 1 1 2
direct
0.5000 0.5000 0.5000
0.5000 0.0000 0.0000
0.0000 0.0000 0.0000
0.0000 0.0000 0.5000
0.0000 0.5000 0.0000

***

Record 3
Cs3KCl SCAN PBEsol geometry; formation energy (no corrections) = -19.511 kcal/mol of atoms; final energy = -133.97 eV per cell; total magnetic moment = 0.23 μB per cell; space-group type = Pm-3m, No. 221
1.0
-6.3631 -1.1985 -2.6426
1.3058 -6.8704 -0.0281
-2.5913 -0.5190 6.4749
Cs Cl K
3 1 1
direct
0.0000 0.0000 0.5000
0.5000 0.0000 0.0000
0.0000 0.5000 0.0000
0.0000 0.0000 0.0000
0.5000 0.5000 0.5000

***

Record 4
CsK2Cl2 SCAN PBEsol geometry; formation energy (no corrections) = -37.669 kcal/mol of atoms; final energy = -78.59 eV per cell; total magnetic moment = 0.05 μB per cell; space-group type = I4/mmm, No. 139
1.0
5.8815 0.0000 0.0000
0.0000 5.8815 0.0000
-2.9408 -2.9408 8.3702
Cl Cs K
2 1 2
direct
0.7987 0.7987 0.5974
0.2013 0.2013 0.4026
0.0000 0.0000 0.0000
0.7500 0.2500 0.5000
0.2500 0.7500 0.5000

***

Record 5
Cs2KLaCl6 SCAN PBEsol geometry; formation energy (no corrections) = -55.549 kcal/mol of atoms; final energy = -199.01 eV per cell; total magnetic moment = 0.00 μB per cell; space-group type = Fm-3m, No. 225
1.0
-5.9214 -1.3558 -5.2593
1.6778 -0.8229 -7.8147
-0.6792 -7.1913 -3.5193
La Cl Cs K
1 6 2 1
direct
0.0000 0.0000 0.0000
0.7591 0.2409 0.7591
0.7591 0.2409 0.2409
0.2409 0.7591 0.2409
0.2409 0.7591 0.7591
0.2409 0.2409 0.7591
0.7591 0.7591 0.2409
0.7500 0.7500 0.7500
0.2500 0.2500 0.2500
0.5000 0.5000 0.5000

***

Record 6
CsK2Mn3P4ClO14 SCAN PBEsol geometry; formation energy (no corrections) = -56.590 kcal/mol of atoms; final energy = -614.79 eV per cell; total magnetic moment = 30.00 μB per cell; space-group type = P2/c, No. 13
1.0
-4.7720 -0.0114 -2.4228
-2.9859 -3.7497 5.8988
-2.7784 17.8681 5.3883
P O Mn K Cs Cl
8 28 6 4 2 2
direct
0.7174 0.2111 0.5994
0.6846 0.4036 0.8727
0.3154 0.4036 0.3727
0.7174 0.7889 0.9006
0.3154 0.5964 0.1273
0.6846 0.5964 0.6273
0.2826 0.7889 0.4006
0.2826 0.2111 0.0994
0.4148 0.5981 0.6001
0.5042 0.7879 0.4518
0.6976 0.9276 0.8530
0.9665 0.7981 0.9414
0.3024 0.0724 0.1470
0.9665 0.2019 0.5586
0.0335 0.7981 0.4414
0.5042 0.2121 0.0482
0.5852 0.4019 0.3999
0.8748 0.5912 0.5647
0.4958 0.7879 0.9518
0.2571 0.7330 0.1938
0.2814 0.5942 0.3456
0.4148 0.4019 0.8999
0.2571 0.2670 0.3062
0.3024 0.9276 0.3530
0.7429 0.7330 0.6938
0.7186 0.5942 0.8456
0.1252 0.5912 0.0647
0.8748 0.4088 0.9353
0.6976 0.0724 0.6470
0.1252 0.4088 0.4353
0.7186 0.4058 0.6544
0.2814 0.4058 0.1544
0.5852 0.5981 0.1001
0.0335 0.2019 0.0586
0.4958 0.2121 0.5482
0.7429 0.2670 0.8062
0.2125 0.3923 0.5404
0.2911 0.0000 0.2500
0.7875 0.6077 0.4596
0.2125 0.6077 0.9596
0.7089 0.0000 0.7500
0.7875 0.3923 0.0404
0.7801 0.9149 0.0853
0.7801 0.0851 0.4147
0.2199 0.0851 0.9147
0.2199 0.9149 0.5853
0.1994 0.5000 0.7500
└──

Solution =
6